Print the whole of the lines below unchanged.

+++
(a)
Ca4TlRu | Alexandria via LeMat-Bulk | PBE | optimized geometry; density of states at the Fermi level = 1.4667 states/eV/atom
1.0
0.0000 4.3733 4.3733
4.3733 0.0000 4.3733
4.3733 4.3733 0.0000
Ca Tl Ru
4 1 1
Direct
0.1240 0.1240 0.1240
0.1240 0.1240 0.6279
0.1240 0.6279 0.1240
0.6279 0.1240 0.1240
0.5000 0.5000 0.5000
0.7500 0.7500 0.7500

=====

(b)
Ca4TlRu | Alexandria via LeMat-Bulk | PBE | optimized geometry; density of states at the Fermi level = 0.6066 states/eV/atom
1.0
4.6149 -7.0483 0.0000
4.6149 7.0483 0.0000
-1.8184 0.0000 5.4203
Ca Tl Ru
8 2 2
Direct
0.0553 0.7150 0.9381
0.2191 0.3647 0.6465
0.2850 0.9447 0.5619
0.3647 0.2191 0.1465
0.6353 0.7809 0.8535
0.7150 0.0553 0.4381
0.7809 0.6353 0.3535
0.9447 0.2850 0.0619
0.3677 0.6323 0.2500
0.6323 0.3677 0.7500
0.0015 0.9985 0.7500
0.9985 0.0015 0.2500

=====

Which of them is the most stable, and which is the least stable? (b) and (a), in that order.

=====

(a)
CaTm2Ru | Alexandria via LeMat-Bulk | PBE | optimized geometry; density of states at the Fermi level = 0.4796 states/eV/atom
1.0
3.4152 0.0000 0.0000
0.0000 3.4152 0.0000
0.0000 0.0000 9.3019
Ca Tm Ru
1 2 1
Direct
0.0000 0.0000 0.0000
0.5000 0.5000 0.3272
0.5000 0.5000 0.6728
0.0000 0.0000 0.5000

=====

(b)
CaTm2Ru | Alexandria via LeMat-Bulk | PBE | optimized geometry; density of states at the Fermi level = 0.5958 states/eV/atom
1.0
1.9808 1.1436 9.1013
-1.9808 1.1436 9.1013
0.0000 -2.2873 9.1013
Ca Tm Ru
1 2 1
Direct
0.0000 0.0000 0.0000
0.2190 0.2190 0.2190
0.7810 0.7810 0.7810
0.5000 0.5000 0.5000

=====

Which of them is the most stable, and which is the least stable? (a) and (b), in that order.

=====

(a)
CaRuW | Alexandria via LeMat-Bulk | PBE | optimized geometry; density of states at the Fermi level = 1.3549 states/eV/atom
1.0
0.0000 3.1436 3.1436
3.1436 0.0000 3.1436
3.1436 3.1436 0.0000
Ca Ru W
1 1 1
Direct
0.0000 0.0000 0.0000
0.2500 0.2500 0.2500
0.5000 0.5000 0.5000

=====

(b)
CaRuW | Alexandria via LeMat-Bulk | PBE | optimized geometry; density of states at the Fermi level = 0.8914 states/eV/atom
1.0
2.9713 0.0000 0.0000
-1.4856 2.5732 0.0000
0.0000 0.0000 7.2100
Ca Ru W
1 1 1
Direct
0.0000 0.0000 0.0000
0.6667 0.3333 0.3498
0.3333 0.6667 0.6229

=====

Which of them is the most stable, and which is the least stable? (b) and (a), in that order.

=====

(a)
Ca2Ru2W | Alexandria via LeMat-Bulk | PBE | optimized geometry; density of states at the Fermi level = 0.9584 states/eV/atom
1.0
6.4850 0.0000 0.0000
0.0000 6.4850 0.0000
0.0000 0.0000 4.9513
Ca Ru W
4 4 2
Direct
0.1784 0.3216 0.0000
0.3216 0.8216 0.0000
0.6784 0.1784 0.0000
0.8216 0.6784 0.0000
0.1350 0.6350 0.5000
0.3650 0.1350 0.5000
0.6350 0.8650 0.5000
0.8650 0.3650 0.5000
0.0000 0.0000 0.5000
0.5000 0.5000 0.5000

=====

(b)
Ca2Ru2W | Alexandria via LeMat-Bulk | PBE | optimized geometry; density of states at the Fermi level = 1.5140 states/eV/atom
1.0
8.1607 0.0000 0.0000
0.0000 8.1607 0.0000
0.0000 0.0000 2.8127
Ca Ru W
4 4 2
Direct
0.1209 0.3791 0.0000
0.3791 0.8791 0.0000
0.6209 0.1209 0.0000
0.8791 0.6209 0.0000
0.1865 0.6865 0.5000
0.3135 0.1865 0.5000
0.6865 0.8135 0.5000
0.8135 0.3135 0.5000
0.0000 0.0000 0.0000
0.5000 0.5000 0.0000

=====

(c)
Ca2Ru2W | Alexandria via LeMat-Bulk | PBE | optimized geometry; density of states at the Fermi level = 0.7967 states/eV/atom
1.0
-1.6912 1.6912 9.8792
1.6912 -1.6912 9.8792
1.6912 1.6912 -9.8792
Ca Ru W
2 2 1
Direct
0.1136 0.1136 0.0000
0.8864 0.8864 0.0000
0.2500 0.7500 0.5000
0.7500 0.2500 0.5000
0.5000 0.5000 0.0000

=====

Which of them is the most stable, and which is the least stable? (a) and (b), in that order.

=====

(a)
CaY2Ru | Alexandria via LeMat-Bulk | PBE | optimized geometry; density of states at the Fermi level = 0.7559 states/eV/atom
1.0
-2.2027 2.2027 5.1506
2.2027 -2.2027 5.1506
2.2027 2.2027 -5.1506
Ca Y Ru
1 2 1
Direct
0.0000 0.0000 0.0000
0.5000 0.5000 0.0000
0.7500 0.2500 0.5000
0.2500 0.7500 0.5000

=====

(b)
+++

(a)
Ca4TlRu | Alexandria via LeMat-Bulk | PBE | optimized geometry; density of states at the Fermi level = 1.4667 states/eV/atom
1.0
0.0000 4.3733 4.3733
4.3733 0.0000 4.3733
4.3733 4.3733 0.0000
Ca Tl Ru
4 1 1
Direct
0.1240 0.1240 0.1240
0.1240 0.1240 0.6279
0.1240 0.6279 0.1240
0.6279 0.1240 0.1240
0.5000 0.5000 0.5000
0.7500 0.7500 0.7500

=====

(b)
Ca4TlRu | Alexandria via LeMat-Bulk | PBE | optimized geometry; density of states at the Fermi level = 0.6066 states/eV/atom
1.0
4.6149 -7.0483 0.0000
4.6149 7.0483 0.0000
-1.8184 0.0000 5.4203
Ca Tl Ru
8 2 2
Direct
0.0553 0.7150 0.9381
0.2191 0.3647 0.6465
0.2850 0.9447 0.5619
0.3647 0.2191 0.1465
0.6353 0.7809 0.8535
0.7150 0.0553 0.4381
0.7809 0.6353 0.3535
0.9447 0.2850 0.0619
0.3677 0.6323 0.2500
0.6323 0.3677 0.7500
0.0015 0.9985 0.7500
0.9985 0.0015 0.2500

=====

Which of them is the most stable, and which is the least stable? (b) and (a), in that order.

=====

(a)
CaTm2Ru | Alexandria via LeMat-Bulk | PBE | optimized geometry; density of states at the Fermi level = 0.4796 states/eV/atom
1.0
3.4152 0.0000 0.0000
0.0000 3.4152 0.0000
0.0000 0.0000 9.3019
Ca Tm Ru
1 2 1
Direct
0.0000 0.0000 0.0000
0.5000 0.5000 0.3272
0.5000 0.5000 0.6728
0.0000 0.0000 0.5000

=====

(b)
CaTm2Ru | Alexandria via LeMat-Bulk | PBE | optimized geometry; density of states at the Fermi level = 0.5958 states/eV/atom
1.0
1.9808 1.1436 9.1013
-1.9808 1.1436 9.1013
0.0000 -2.2873 9.1013
Ca Tm Ru
1 2 1
Direct
0.0000 0.0000 0.0000
0.2190 0.2190 0.2190
0.7810 0.7810 0.7810
0.5000 0.5000 0.5000

=====

Which of them is the most stable, and which is the least stable? (a) and (b), in that order.

=====

(a)
CaRuW | Alexandria via LeMat-Bulk | PBE | optimized geometry; density of states at the Fermi level = 1.3549 states/eV/atom
1.0
0.0000 3.1436 3.1436
3.1436 0.0000 3.1436
3.1436 3.1436 0.0000
Ca Ru W
1 1 1
Direct
0.0000 0.0000 0.0000
0.2500 0.2500 0.2500
0.5000 0.5000 0.5000

=====

(b)
CaRuW | Alexandria via LeMat-Bulk | PBE | optimized geometry; density of states at the Fermi level = 0.8914 states/eV/atom
1.0
2.9713 0.0000 0.0000
-1.4856 2.5732 0.0000
0.0000 0.0000 7.2100
Ca Ru W
1 1 1
Direct
0.0000 0.0000 0.0000
0.6667 0.3333 0.3498
0.3333 0.6667 0.6229

=====

Which of them is the most stable, and which is the least stable? (b) and (a), in that order.

=====

(a)
Ca2Ru2W | Alexandria via LeMat-Bulk | PBE | optimized geometry; density of states at the Fermi level = 0.9584 states/eV/atom
1.0
6.4850 0.0000 0.0000
0.0000 6.4850 0.0000
0.0000 0.0000 4.9513
Ca Ru W
4 4 2
Direct
0.1784 0.3216 0.0000
0.3216 0.8216 0.0000
0.6784 0.1784 0.0000
0.8216 0.6784 0.0000
0.1350 0.6350 0.5000
0.3650 0.1350 0.5000
0.6350 0.8650 0.5000
0.8650 0.3650 0.5000
0.0000 0.0000 0.5000
0.5000 0.5000 0.5000

=====

(b)
Ca2Ru2W | Alexandria via LeMat-Bulk | PBE | optimized geometry; density of states at the Fermi level = 1.5140 states/eV/atom
1.0
8.1607 0.0000 0.0000
0.0000 8.1607 0.0000
0.0000 0.0000 2.8127
Ca Ru W
4 4 2
Direct
0.1209 0.3791 0.0000
0.3791 0.8791 0.0000
0.6209 0.1209 0.0000
0.8791 0.6209 0.0000
0.1865 0.6865 0.5000
0.3135 0.1865 0.5000
0.6865 0.8135 0.5000
0.8135 0.3135 0.5000
0.0000 0.0000 0.0000
0.5000 0.5000 0.0000

=====

(c)
Ca2Ru2W | Alexandria via LeMat-Bulk | PBE | optimized geometry; density of states at the Fermi level = 0.7967 states/eV/atom
1.0
-1.6912 1.6912 9.8792
1.6912 -1.6912 9.8792
1.6912 1.6912 -9.8792
Ca Ru W
2 2 1
Direct
0.1136 0.1136 0.0000
0.8864 0.8864 0.0000
0.2500 0.7500 0.5000
0.7500 0.2500 0.5000
0.5000 0.5000 0.0000

=====

Which of them is the most stable, and which is the least stable? (a) and (b), in that order.

=====

(a)
CaY2Ru | Alexandria via LeMat-Bulk | PBE | optimized geometry; density of states at the Fermi level = 0.7559 states/eV/atom
1.0
-2.2027 2.2027 5.1506
2.2027 -2.2027 5.1506
2.2027 2.2027 -5.1506
Ca Y Ru
1 2 1
Direct
0.0000 0.0000 0.0000
0.5000 0.5000 0.0000
0.7500 0.2500 0.5000
0.2500 0.7500 0.5000

=====

(b)